### What to do
It remains to filter the entries further below: keep the lines with the word "Hf".

### Input
~~~
Below is PmSbRh2 after structural relaxation, with properties calculated at the GGA-PBE level.

Properties
The total energy comes out at -6.51 eV per atom. As for the energy above the most stable polymorph in this dataset: 154 meV per atom. The calculation puts the density of states at the Fermi level at 0.885 states/eV per atom. As for the density: 10.08 Mg/m³. The uncorrected formation energy is -0.62 eV per atom.

Cell and atoms, written as CIF:
```
data_PmSbRh2
_space_group_name_H-M_alt 'P 4/m m m'
_space_group_IT_number 123
_space_group_name_Hall '-P 4 2'
_cell_length_a 4.5966
_cell_length_b 4.5966
_cell_length_c 3.6839
_cell_angle_alpha 90.00
_cell_angle_beta 90.00
_cell_angle_gamma 90.00
loop_
_atom_site_label
_atom_site_type_symbol
_atom_site_fract_x
_atom_site_fract_y
_atom_site_fract_z
Pm1 Pm 0.0000 0.0000 0.0000
Sb1 Sb 0.5000 0.5000 0.0000
Rh1 Rh 0.0000 0.5000 0.5000
```

----------

# 1
Compound: Hf5Zr2Fe2Pd
Source: Alexandria
Functional: GGA-PBE
Structure: optimized geometry

The formation energy from the elements is -0.270 eV per atom. As for the total moment: 0.00 Bohr magnetons per cell.

It has space group P4/mbm (No. 127), with a = 10.945 Å, b = 10.945 Å, c = 3.240 Å, α = 90.00°, β = 90.00° and γ = 90.00°. The inequivalent atoms are Hf at (0.000, 0.500, 0.000), Hf at (0.058, 0.208, 0.000), Zr at (0.179, 0.679, 0.500), Fe at (0.133, 0.367, 0.500) and Pd at (0.000, 0.000, 0.500).

***

# 2
Compound: LiAcTbZn
Source: Alexandria
Functional: GGA-PBE
Structure: optimized geometry

The formation energy from the elements is -0.061 eV per atom. As for the total moment: 0.00 Bohr magnetons per cell.

It has space group F-43m (No. 216), with a = 7.611 Å, b = 7.611 Å, c = 7.611 Å, α = 90.00°, β = 90.00° and γ = 90.00°. The inequivalent atoms are Li at (0.000, 0.000, 0.000), Ac at (0.250, 0.250, 0.750), Tb at (0.250, 0.250, 0.250) and Zn at (0.000, 0.000, 0.500).

***

# 3
Compound: AcTl4Te
Source: Alexandria
Functional: GGA-PBE
Structure: optimized geometry

As for the formation energy (no corrections): -0.150 eV/atom. As for the total moment: 0.00 Bohr magnetons per cell.

It has space group F-43m (No. 216), with a = 9.151 Å, b = 9.151 Å, c = 9.151 Å, α = 90.00°, β = 90.00° and γ = 90.00°. The inequivalent atoms are Ac at (0.000, 0.000, 0.000), Tl at (0.125, 0.125, 0.625) and Te at (0.250, 0.250, 0.250).

***

# 4
Compound: LiNbTe3
Source: Alexandria
Functional: GGA-PBE
Structure: optimized geometry

As for the formation energy (no corrections): -0.501 eV/atom. As for the total moment: 0.00 Bohr magnetons per cell.

It has space group C2/c (No. 15), with a = 13.032 Å, b = 13.566 Å, c = 6.348 Å, α = 90.00°, β = 113.26° and γ = 90.00°. The inequivalent atoms are Li at (0.105, 0.080, 0.190), Nb at (0.000, 0.322, 0.750), Nb at (0.000, 0.442, 0.250), Te at (0.107, 0.138, 0.681), Te at (0.143, 0.292, 0.205) and Te at (0.163, 0.433, 0.709).

***

| no. | V (Å³ per atom) |
| --- | --- |
| 1 | 19.4 |
| 2 | 27.6 |
| 3 | 31.9 |
| 4 | 25.8 |

----------

Record 1
KHfTa2O8 | GGA-PBE | relaxed

abc: 5.756 5.756 7.605
angles: 76.76 76.76 65.00
Site moments in Bohr magnetons follow the coordinates.
Fractional coordinates of all 12 atoms:
K: 0.000 0.000 0.500  0.00
Hf: 0.000 0.000 0.000  0.00
O: 0.271 0.794 0.178  0.00
O: 0.794 0.271 0.178  0.00
O: 0.610 0.610 0.507  0.41
O: 0.729 0.206 0.822  0.00
Ta: 0.408 0.408 0.743  -0.02
O: 0.390 0.390 0.493  0.41
O: 0.786 0.786 0.142  0.03
O: 0.214 0.214 0.858  0.03
Ta: 0.592 0.592 0.257  -0.02
O: 0.206 0.729 0.822  0.00

Calculated values
SG   C2/m
Density   5.35 g cm⁻³
Total moment   1.01 μB/cell
Total energy   -8.90 eV/atom

=====

Record 2
AcPmLu2 | GGA-PBE | relaxed

abc: 5.798 5.798 5.798
angles: 60.00 60.00 60.00
Fractional coordinates of all 4 atoms:
Ac: 0.000 0.000 0.000
Lu: 0.750 0.750 0.750
Pm: 0.500 0.500 0.500
Lu: 0.250 0.250 0.250

Calculated values
SG   Fm-3m
Density   8.70 g cm⁻³
Total moment   0.00 μB/cell
Total energy   -4.38 eV/atom

=====

Record 3
TaMoOs | GGA-PBE | relaxed
~~~

### Here it is
It has space group P4/mbm (No. 127), with a = 10.945 Å, b = 10.945 Å, c = 3.240 Å, α = 90.00°, β = 90.00° and γ = 90.00°. The inequivalent atoms are Hf at (0.000, 0.500, 0.000), Hf at (0.058, 0.208, 0.000), Zr at (0.179, 0.679, 0.500), Fe at (0.133, 0.367, 0.500) and Pd at (0.000, 0.000, 0.500).
Hf: 0.000 0.000 0.000  0.00